Student Op-Eds Week in Review

Week in Review: Bank Bailouts, US Budget Negotiations, and a Warlord Surrenders

Zach Warner, ’16

<<<
Entry from Alexandria via LeMat-Bulk: FeMoAu2 after structural relaxation (PBE).

a = 2.8981 Å, b = 4.6549 Å, c = 4.8353 Å
α = 90.00°, β = 90.00°, γ = 90.00°
With the nearest neighbours (Å) after each atom.
Sites, in units of the cell vectors:
Au 0.0000 0.0000 0.0000  6 Au 2.74-2.90, 4 Fe 2.82
Au 0.5000 0.5000 0.0000  6 Au 2.74-2.90, 4 Mo 2.82
Fe 0.5000 0.0000 0.5000  4 Mo 2.74, 4 Au 2.82, 2 Fe 2.90
Mo 0.0000 0.5000 0.5000  4 Fe 2.74, 4 Au 2.82, 2 Mo 2.90

Properties
The density of states at the Fermi level is 1.008 states/eV/atom. The total magnetization comes out at 2.4 μB per cell. The calculation puts the total energy at -0.441 Ry per atom. The formation energy is 0.46 eV per atom.

Entry from Alexandria via LeMat-Bulk: FeMoAu2 after structural relaxation (PBE).

a = 4.8892 Å, b = 4.8892 Å, c = 4.8892 Å
α = 131.54°, β = 131.45°, γ = 71.03°
With the nearest neighbours (Å) after each atom.
Sites, in units of the cell vectors:
Au 0.9999 0.9999 0.0000  4 Fe 2.83, 4 Mo 2.83, 4 Au 2.84
Au 0.5001 0.5001 0.0000  4 Fe 2.83, 4 Mo 2.83, 4 Au 2.84
Fe 0.7500 0.2500 0.5000  8 Au 2.83, 4 Mo 2.84
Mo 0.2500 0.7500 0.5000  8 Au 2.83, 4 Fe 2.84

Properties
The density of states at the Fermi level is 1.161 states/eV/atom. The total magnetization comes out at 1.8 μB per cell. The calculation puts the total energy at -0.449 Ry per atom. The formation energy is 0.35 eV per atom.

Entry from Alexandria via LeMat-Bulk: FeMo4Au after structural relaxation (PBE).

a = 5.1884 Å, b = 5.1884 Å, c = 5.1884 Å
α = 60.00°, β = 60.00°, γ = 60.00°
With the nearest neighbours (Å) after each atom.
Sites, in units of the cell vectors:
Fe 0.0000 0.0000 0.0000  12 Mo 3.04, 4 Au 3.18
Mo 0.8756 0.3748 0.3748  6 Mo 2.59-2.60
Mo 0.3748 0.3748 0.8756  6 Mo 2.59-2.60
Mo 0.3748 0.8756 0.3748  6 Mo 2.59-2.60
Mo 0.3748 0.3748 0.3748  6 Mo 2.59-2.60
Au 0.7500 0.7500 0.7500  12 Mo 3.04, 4 Fe 3.18

Properties
The density of states at the Fermi level is 0.755 states/eV/atom. The total magnetization comes out at 1.9 μB per cell. The calculation puts the total energy at -0.640 Ry per atom. The formation energy is 0.47 eV per atom.

Entry from Alexandria via LeMat-Bulk: FeMoAu2 after structural relaxation (PBE).

a = 7.2308 Å, b = 7.2308 Å, c = 5.7298 Å
α = 50.88°, β = 50.88°, γ = 90.00°
With the nearest neighbours (Å) after each atom.
Sites, in units of the cell vectors:
Mo 0.0000 0.0000 0.0000  2 Fe 2.59, 4 Au 2.77
Mo 0.7500 0.2500 0.5000  2 Fe 2.59, 4 Au 2.77
Au 0.5997 0.1250 0.2500  2 Fe 2.51, 2 Au 2.61, 2 Mo 2.77
Au 0.1503 0.6250 0.2500  2 Fe 2.51, 2 Au 2.61, 2 Mo 2.77
Au 0.3750 0.4003 0.7500  2 Fe 2.51, 2 Au 2.61, 2 Mo 2.77
Au 0.8750 0.8497 0.7500  2 Fe 2.51, 2 Au 2.61, 2 Mo 2.77
Fe 0.5000 0.5000 0.0000  4 Au 2.51, 2 Mo 2.59
Fe 0.2500 0.7500 0.5000  4 Au 2.51, 2 Mo 2.59

Properties
>>>

This week in the world, Congolese warlord Bosco Ntaganda surrendered himself to the U.S. Embassy in Kigali, Rwanda. In Europe, the parliament of Cyprus voted against plans to implement an increased, one-time tax on national bank deposits.

In the United States, the Senate is rapidly reaching a consensus on the bill to fund federal agencies through September 30. Massive spending cuts are being passed without amendments or revisions as part of the effort to avert a government shutdown before the bill’s deadline, March 27. General Martin Dempsey, chairman of the U.S. military’s Joint Chiefs of Staff, strongly recommended the use of “extreme caution” when deliberating on possible military options in Syria.

According to reports, the accused war criminal Bosco Ntaganda simply walked into the U.S. Embassy in Rwanda and surrendered early Monday morning. U.S. officials stated that the fugitive leader of the M23 Rebellion requested to be transferred to the International Criminal Court to face accusations of war crimes. Ntaganda is accused of commanding child soldiers, ethnic persecution, murder, slavery, and rape during conflict in the Ituri district of the Democratic Republic of the Congo. The M23 Rebellion has waged a yearlong insurrection that captured Goma, the capital of the North Kivu province, from UN peacekeepers in November. Experts claim that the governments of Rwanda and Uganda supported the rebellion, but both nations have denied backing M23. Ntaganda is awaiting approval on his request to be transferred to the ICC in the Hague, Netherlands.

On Tuesday, lawmakers in Cyprus proposed a one-time tax of 6.75 percent on deposits of less than €100,000 and a 9.9 percent levy on accounts greater than €100,000. The tax was proposed to help support a 10 billion euro bailout by the European Union. Citizen outrage against the tax was swift and decisive, and financial experts warn that the tax could scare away investment in Cyprus. Experts argue that the tax could set a precedent of insecurity and inconstancy of rules, which could have long-term effects on bank deposits in Cyprus. President Nicos Anastasiades has been forced to return to bailout negotiations with the E.U. Cypriot lawmakers must create a deal that allows the country to receive a financial extension, while avoiding a default that could damage the value of the euro and the economies of all nations in the E.U.

U.S. senators voted 63-35 to limit debate on legislation to fund federal agencies. The Senate was highly aware that the bill must be sent to the House of Representatives for final approval this week to avert a government shutdown when present funds are exhausted on March 27. Senate Majority Leader Harry Reid urged the passage of the bill, stating “there is a big spotlight on the United States Senate to see if we can do something;” he continued, “I’m asking senators here to give up a few things for the greater good.” By “a few things” he meant approximately 125 amendments to the bill, which were impeding the final approval by the House of Representatives. As part of a 10-year plan to reduce the deficit by $1.2 trillion, the bill includes $85 billion in polemic spending cuts that began on March 1. State representatives have been working with vigor to reduce the effects of sequestration on programs of particular importance to their constituencies.

On Monday, General Dempsey explained that the U.S. lacks key intelligence regarding the Syrian opposition and that anyone suggesting the U.S. might arm Syrian rebels should reconsider their point of view. ” About six months ago, we had a very opaque understanding of the opposition and now I would say it’s even more opaque,” stated General Dempsey. He remarked on the complexity of the Syrian conflict and the difficulties that it has created for U.S. foreign policy in Syria. He gave a statement to the Center for Strategic and International Studies, a Washington think tank, affirming that he does not see a military option that can ameliorate the situation in Syria; he also added that “it would be my advice to proceed cautiously.” Only last year, during conferences within the Obama administration, Dempsey and the heads of the CIA and State Department had advocated arming the Syrian rebels. However, there was never an official plan and Obama disavowed the idea. U.S. officials are concerned that American weapons could go to enemies of the state if they are obtained by certain factions.
